
Ali Campoverdi: Obama Hottie, Feminist Paradox

Ryan Tate · 01/27/09 02:59AM

Enough about Obama speechwriter Jon Favreau, 27. Who is his hot young girlfriend, Alejandra Campoverdi, and how did she make her way from a farmworker's family to Maxim magazine to the White House?

Hero of the Hudson

### Inserted here: crystal structures
/*
This entry pairs a crystal structure of SrAc5N6 with its theoretical powder XRD pattern. Radiation: Cu Kα X-rays. Structure: a structure optimized by DFT (GGA-PBE).

```
SrAc5N6
1.0
3.364 -5.815 0.000
3.364 5.815 0.000
-2.255 0.000 6.334
Sr Ac N
1 5 6
Direct
0.000 0.000 0.000 Sr
0.166 0.834 0.500 Ac
0.333 0.667 0.000 Ac
0.500 0.500 0.500 Ac
0.667 0.333 0.000 Ac
0.834 0.166 0.500 Ac
0.085 0.432 0.256 N
0.262 0.262 0.745 N
0.432 0.085 0.256 N
0.568 0.915 0.744 N
0.738 0.738 0.255 N
0.915 0.568 0.744 N
```

Principal peaks in the range 10 to 80 degrees two-theta, in order of falling intensity:
- 2θ 28.17, intensity 100
- 2θ 32.64, intensity 69
- 2θ 46.83, intensity 50
- 2θ 55.58, intensity 33
- 2θ 58.25, intensity 17
- 2θ 55.48, intensity 17
- 2θ 77.91, intensity 15
- 2θ 75.50, intensity 14

This entry pairs a crystal structure of SrAc3N4 with its theoretical powder XRD pattern. Radiation: Cu Kα X-rays. Structure: a structure optimized by DFT (GGA-PBE).

```
SrAc3N4
1.0
5.456 0.000 0.000
0.000 5.456 0.000
0.000 0.000 5.456
Sr Ac N
1 3 4
Direct
0.000 0.000 0.000 Sr
0.000 0.500 0.500 Ac
0.500 0.000 0.500 Ac
0.500 0.500 0.000 Ac
0.000 0.000 0.500 N
0.000 0.500 0.000 N
0.500 0.000 0.000 N
0.500 0.500 0.500 N
```

Principal peaks in the range 10 to 80 degrees two-theta, in order of falling intensity:
- 2θ 28.33, intensity 100
- 2θ 32.83, intensity 70
- 2θ 47.12, intensity 51
- 2θ 55.90, intensity 49
- 2θ 78.39, intensity 23
- 2θ 76.04, intensity 20
- 2θ 58.62, intensity 18
- 2θ 16.25, intensity 10

~~~~~

Entry 1:
Structure and theoretical X-ray powder pattern of In4Te3 (a DFT-relaxed cell (GGA-PBE, Alexandria); Cu Kα (weighted mean of Kα1 and Kα2)).
No peak broadening, texture or thermal motion is included.

Crystal structure
Unit cell a=13.027 b=15.965 c=4.515 alpha=90.00 beta=90.00 gamma=90.00
Element x y z (fractional)
In (0.024, 0.185, 0.000)
In (0.107, 0.428, 0.000)
In (0.146, 0.037, 0.000)
In (0.157, 0.714, 0.000)
In (0.343, 0.214, 0.500)
In (0.354, 0.537, 0.500)
In (0.393, 0.928, 0.500)
In (0.476, 0.685, 0.500)
In (0.524, 0.315, 0.500)
In (0.607, 0.072, 0.500)
In (0.646, 0.463, 0.500)
In (0.657, 0.786, 0.500)
In (0.843, 0.286, 0.000)
In (0.854, 0.963, 0.000)
In (0.893, 0.572, 0.000)
In (0.976, 0.815, 0.000)
Te (0.136, 0.275, 0.500)
Te (0.140, 0.596, 0.500)
Te (0.147, 0.924, 0.500)
Te (0.353, 0.424, 0.000)
Te (0.360, 0.096, 0.000)
Te (0.364, 0.775, 0.000)
Te (0.636, 0.225, 0.000)
Te (0.640, 0.904, 0.000)
Te (0.647, 0.576, 0.000)
Te (0.853, 0.076, 0.500)
Te (0.860, 0.404, 0.500)
Te (0.864, 0.725, 0.500)

Principal peaks in the range 2θ from 5° to 70°, most intense first:
| d [Å] | I (rel.) |
| --- | --- |
| 3.329 | 100 |
| 2.078 | 36 |
| 2.258 | 33 |
| 3.257 | 30 |
| 3.364 | 27 |
| 2.698 | 22 |
| 2.162 | 19 |
| 1.875 | 12 |
| 1.855 | 12 |
| 2.061 | 12 |

***

Entry 2:
Structure and theoretical X-ray powder pattern of InTe (a DFT-relaxed cell (GGA-PBE, Alexandria); Cu Kα (weighted mean of Kα1 and Kα2)).
*/

Ryan Tate · 01/15/09 07:06PM

Chesley B. "Sully" Sullenberger, III was the last person to leave US Airways Flight 1549 — a true captain, he swept the center aisle twice to ensure no one else was still on board.

The Madoff Family

Hamilton Nolan · 01/15/09 12:16PM

We all know Bernie Madoff scammed people out of billions, for years. What about his immediate family members, who were all working for him? Essential facts below:

Ten Winners Of The Recession

(Materials data, as found in the file)
********
[1]
The following is a calculated XRD peak list of NaTl3Cd3. It was derived from a cell relaxed with PBE, using Cu Kα.

Most intense lines, 2θ from 15° to 90°, in order of rising 2θ:
2theta  I_rel  h k l
21.38  19  2 0 1
25.92  17  3 1 0
29.42  13  3 1 1
31.98  47  0 4 0
33.06  18  4 0 0
36.09  100  2 2 2
39.49  24  4 2 1
46.67  12  4 4 0
56.94  19  0 0 4
59.70  19  2 6 2

Structural model:
```
data_NaTl3Cd3
_symmetry_space_group_name_H-M 'C m m m'
_symmetry_Int_Tables_number 65
_symmetry_space_group_name_Hall '-C 2 2'
_cell_length_a 10.8376
_cell_length_b 11.1915
_cell_length_c 6.4745
_cell_angle_alpha 90.00
_cell_angle_beta 90.00
_cell_angle_gamma 90.00
loop_
_atom_site_label
_atom_site_type_symbol
_atom_site_fract_x
_atom_site_fract_y
_atom_site_fract_z
Na1 Na 0.0000 0.1821 0.0000
Tl1 Tl 0.0000 0.2700 0.5000
Tl2 Tl 0.1652 0.0000 0.5000
Tl3 Tl 0.2489 0.5000 0.0000
Cd1 Cd 0.0000 0.5000 0.2445
Cd2 Cd 0.2500 0.2500 0.2476
```

=====

[2]
The following is a calculated XRD peak list of Na3TlCd4. It was derived from a cell relaxed with PBE, using Cu Kα.

Most intense lines, 2θ from 15° to 90°, in order of rising 2θ:
2theta  I_rel  h k l
16.41  39  1 1 0
19.81  36  1 0 1
25.97  51  1 2 1
32.56  100  0 2 2
32.92  77  2 1 1
33.60  44  0 4 0
40.90  47  2 3 1
52.52  20  2 1 3
53.93  19  2 5 1
69.04  33  4 2 2

Structural model:
```
data_Na3TlCd4
_symmetry_space_group_name_H-M 'I m m 2'
_symmetry_Int_Tables_number 44
_symmetry_space_group_name_Hall 'I 2 -2'
_cell_length_a 6.2615
_cell_length_b 10.6693
_cell_length_c 6.4174
_cell_angle_alpha 90.00
_cell_angle_beta 90.00
_cell_angle_gamma 90.00
loop_
_atom_site_label
_atom_site_type_symbol
_atom_site_fract_x
_atom_site_fract_y
_atom_site_fract_z
Na1 Na 0.0000 0.0000 0.0000
Na2 Na 0.0000 0.2431 0.7022
Tl1 Tl 0.0000 0.5000 0.4778
Cd1 Cd 0.0000 0.2708 0.1983
Cd2 Cd 0.2466 0.0000 0.4557
```

=====

[3]
The following is a calculated XRD peak list of Na3Tl3Cd4. It was derived from a cell relaxed with PBE, using Cu Kα.

Most intense lines, 2θ from 15° to 90°, in order of rising 2θ:
2theta  I_rel  h k l
20.12  84  1 0 0
25.46  38  1 2 0
30.15  97  1 2 2
31.98  77  1 3 1
32.44  100  1 1 3
35.16  72  0 4 2
35.80  67  0 2 4
40.87  94  2 0 0
41.41  43  1 2 4
55.01  40  2 4 2

Structural model:
```
data_Na3Tl3Cd4
_symmetry_space_group_name_H-M 'A m m 2'
_symmetry_Int_Tables_number 38
_symmetry_space_group_name_Hall 'A 2 -2'
_cell_length_a 4.4135
_cell_length_b 11.4817
_cell_length_c 11.1538
_cell_angle_alpha 90.00
_cell_angle_beta 90.00
_cell_angle_gamma 90.00
loop_
_atom_site_label
_atom_site_type_symbol
_atom_site_fract_x
_atom_site_fract_y
_atom_site_fract_z
Na1 Na 0.0000 0.0000 0.0000
Na2 Na 0.0000 0.1702 0.6587
Tl1 Tl 0.0000 0.0000 0.3363
Tl2 Tl 0.5000 0.2391 0.9204
Cd1 Cd 0.5000 0.0000 0.5259
Cd2 Cd 0.5000 0.0000 0.7892
Cd3 Cd 0.5000 0.1302 0.1769
```

=====

[4]
The following is a calculated XRD peak list of Na3Tl5Cd3. It was derived from a cell relaxed with PBE, using Cu Kα.
********

Hamilton Nolan · 12/09/08 04:22PM

Everybody's doing bad now, right? Not at all! Capitalism, as we all know and believe, is a wondrous balancing mechanism that ensures that when one area of the economy (everything) goes down, another (ten quirky niches) will rise up. After the jump, a list of ten sectors and companies that are actually doing great right now. And they only get better as everything else gets worse:

The Official Newspaper Survival Odds

Hamilton Nolan · 12/08/08 02:30PM

Gambling is the future of the media! Newspapers aren't much good to anybody looking to make a buck off investing in their stock—but that doesn't mean that you can't make your newspaper fortune through sweet, sweet gambling, come on now seven seven seven baby need a new pair of shoes, yea! After the jump, we've listed the half-dozen most famous economically challenged papers in the country, along with our official odds for their long-term survival. Place your bets, and give 5% to the house:

How To Make Fun Of College Kids

Hamilton Nolan · 11/21/08 12:12PM

As I was journalistically perusing the internet last night, I came upon an entry in a web log ("blog") that tickled my ol' funny bone. It seems that well-off Ivy League students at Princeton University are participating in short role-playing games in order to "experience the virtual realities of poverty." "Quite unlikely!" I scoffed. Do I detect a prime opportunity to make fun of college kids? Why, this one is straight from the textbook!:

How To Handle Bad Press With A Forced Smile

Hamilton Nolan · 11/11/08 01:39PM

Jerry Portwood is the editor of the New York Press, and he does a lot of theater reviews. Like lots of theater reviewers, he gets free tickets for plays from publicists. But last week, he was abruptly disinvited and taken off the list for the play "The Sexual Neuroses of Our Parents," just before he was scheduled to attend. The reason: the play's publicist didn't like a NY Press story that pointed out that the play's publicists were marketing it by hyping up the fact that Meryl Streep's daughter is a cast member. Losing a pair of free tickets isn't the world's biggest tragedy, but it brings up the interesting question: How are flacks supposed to handle bad press? Answer: a lot better than this. The shortest bit of advice that smart PR people can take about bad press is to just suck it up. Nobody likes a negative review, but you have to take the long view of things. Cutting off news outlets for one story you didn't like is the equivalent of selling all your stocks as soon as the market has a bad day; a panicky way to ensure that you get nothing good in the future. Jerry Portwood tells us that when he spoke to the PR guy in question,

How Nate Silver Can Rule The World

Hamilton Nolan · 11/10/08 01:08PM

The world belongs to Nate Silver! Briefly. Silver, the number-crunching baseball stat geek who decided to become a political poll-cruncher in his spare time and only turned out to be the most freakishly accurate election predictor ever, is now the toast of the media, Obamaphiles, and stat nerds alike. The Times has even weighed in now, several months behind the curve! Now is your chance to capitalize, Nate; screw this up and you'll soon return to the depths of nerd-only notoriety. After the jump, our professional advice to Nate about building his entire future in five easy steps—five being a number that statistics show gets a lot of page views!: 1. Stay off of television: You got yourself a (well-deserved) spot as a TV election pundit during the election cycle, Nate. But your future is behind a computer. You're not particularly telegenic (don't feel bad, neither are we!), and besides, the punditocracy is already overflowing. We don't need another talking head; we need a true guru. Plus, TV appearances require you to learn to apply makeup, which the Times has already packaged as an anecdote to poke fun at you. Don't fall into this trap. 2. Follow the money: Statistics show (never gets old) that corporate America has all the money. Baseball fans and political junkies are fine people, but they're not the ones holding an extravagant portion of the world's wealth in their dessicated, greedy hands. In order to have a long-term career you're going to have to do something that appeals to the corporate types. Luckily, they love numbers too! 3. Open a consultancy: "Consultant" is the best job of all. You get to sell your advice for steep prices—then, if your advice turns out to be awful, it doesn't matter because you already got paid. Your future is in selling your statistical magic to evil corporate overlords. And you're already ahead of the game, because you have a catchy name. "Silver Consultants" or something like that should look good on a business card. 4. Don't be evil: Just because we stole this slogan from The Google doesn't mean it's bad advice. Just as there are plenty of TV pundits, there are also plenty of consultants willing to pimp out their expertise to the highest bidder, regardless of how many sweatshops they run. Your advantage, Nate, is that you're actually better than your competition right now, which gives you some leverage over your clients. That means you can pre-screen to ensure that Silver Consultants does not provide its trademarked Mystical Statisticals to any firm that wants to do terrible awful things with the knowledge! In this way you become both rich and ethical, at least by the standards of the rich. 5. In four years, sign on with Obama: Might as well make it official. This election was your audition. We all know it. Everyone knows you're good. You have three years to get your consultancy up and running, make a pile of money, and then become the chief pollster for Obama '12. This is truly Living The Dream. Nate Silver, you are the new Mark Penn. Only younger, smarter, and less evil. We hope. [Pic via Newsweek]

What Will Obama Mean For Our Elitist Yuppie Industries?

Hamilton Nolan · 11/06/08 02:24PM

Affluent urban professionals are so happy that Obama is our next president! They're educated and urbane and liberal and they are simply in love with our elected leader, for a change! But now that they've finally gotten over their election night party hangovers, they're starting to realize: whoa, these Democrats might not be so good for our beloved Fashion/ Advertising/ PR/ Entertainment industries, which give us affluent urban professionals our paychecks! After the jump, we take a brief look at how these industries of liberal elites really feel about the prospects of an Obama presidency:

Liz Rosenberg, Madonna's Lying Flack

Hamilton Nolan · 10/15/08 12:27PM

So Madonna and her husband Guy Ritchie are finally getting divorced. It's a very shocking thing, since earlier this summer, when reports of a pending divorce surfaced, Madonna's flack assured the world that the couple had "no divorce plans." Could it be that the flack, Liz Rosenberg—a charter member of our list of lying flacks—told something less than the full truth? After the jump, Liz's side of the story, and then the other, more accurate side: We asked Liz Rosenberg about this discrepancy between what she said earlier, and what's happening now. Her answer: "there was no pending divorce earlier this year." So, we asked, does that mean that, for example, the Sun's report that Madonna "initially planned to move back to the US with their three children in July" is false? "yes," Rosenberg replied. Well, how credible is Liz Rosenberg? She told the world in 2006 that Madonna was not adopting a baby in Malawi. Although, of course, Madonna did adopt a baby in Malawi. What else do we know about Rosenberg?

Neel Kashkari: America's New Head Of Money

Hamilton Nolan · 10/07/08 01:07PM

The United States Treasury has selected the man whose job is to save our nation's finances by leading the government bailout of Wall Street: a 35-year-old AC/DC lover. Oh that's just great US government, just great. The whole entire media is scrambling to come up with enough background on the guy to fill up a feature story, and it's rough going. We've condensed every salient interesting fact about Neel Kashkari, the unblinking anointed guardian of your money, in a handy guide, after the jump:

The Gawker Guide To A Journalism Career

Hamilton Nolan · 10/06/08 02:13PM

So, you want to be a journalist? Ha ha ha. Jeez. Your timing sucks. But hey, it's a perfectly semi-honorable profession; nobler than finance, not as noble as being a postman. So whether you're already in journalism and wondering about what direction your career should take (besides down), or a terribly misguided young go-getter looking to get into journalism, we're here to help. Every freaking thing you need to know about the real state of the media job market, after the jump.